_To do_
Retype all of the entries further down without altering anything.

_Contents_
Record 1
{"formula": "RbZn", "functional": "GGA-PBE", "state": "optimized geometry", "cell": [[-3.4578, 5.3656, 4.3579], [-4.7268, -6.2505, 3.9453], [3.4149, -0.4908, 3.3138]], "species": ["Rb", "Rb", "Rb", "Rb", "Zn", "Zn", "Zn", "Zn"], "frac_coords": [[0.0461, 0.5313, 0.0000], [0.5461, 0.7187, 0.0000], [0.2872, 0.0313, 0.5000], [0.7872, 0.2187, 0.5000], [0.4448, 0.3251, 0.0000], [0.9448, 0.9249, 0.0000], [0.3885, 0.4249, 0.5000], [0.8885, 0.8251, 0.5000]], "e_tot_ev_per_atom": -0.973}



Record 2
{"formula": "Y2Tm4LuNi2Te2", "functional": "GGA-PBE", "state": "optimized geometry", "cell": [[4.6301, -3.0997, 7.4228], [-4.5986, 8.0279, 0.7416], [1.0506, -9.2217, -0.0073]], "species": ["Lu", "Ni", "Ni", "Te", "Te", "Tm", "Tm", "Tm", "Tm", "Y", "Y"], "frac_coords": [[0.4751, 0.4751, 0.0000], [0.6396, 0.4011, 0.2385], [0.1626, 0.4011, 0.7615], [0.1394, 0.1394, 0.0000], [0.7427, 0.2427, 0.5000], [0.0287, 0.8956, 0.1331], [0.1030, 0.7490, 0.3540], [0.3950, 0.7490, 0.6460], [0.7624, 0.8956, 0.8669], [0.4143, 0.0988, 0.3155], [0.7833, 0.0988, 0.6845]], "polymorph_energy_kcal_per_mol_atoms": 0.314}



Record 3
{"formula": "TlCu3SnSe4", "functional": "GGA-PBE", "state": "optimized geometry", "cell": [[6.2120, 0.0000, 0.0000], [0.0000, 6.2120, 0.0000], [0.0000, 0.0000, 6.2120]], "species": ["Cu", "Cu", "Cu", "Se", "Se", "Se", "Se", "Sn", "Tl"], "frac_coords": [[0.5000, 0.0000, 0.0000], [0.0000, 0.5000, 0.0000], [0.0000, 0.0000, 0.5000], [0.7632, 0.2368, 0.2368], [0.2368, 0.7632, 0.2368], [0.2368, 0.2368, 0.7632], [0.7632, 0.7632, 0.7632], [0.0000, 0.0000, 0.0000], [0.5000, 0.5000, 0.5000]], "e_tot_ev_per_atom": -3.570}



Record 4
{"formula": "NaZr", "functional": "GGA-PBE", "state": "optimized geometry", "cell": [[-1.7771, 7.3118, 5.6525], [3.4555, -3.7477, 3.9431], [4.3769, 2.3225, -1.6282]], "species": ["Na", "Na", "Na", "Na", "Na", "Na", "Zr", "Zr", "Zr", "Zr", "Zr", "Zr"], "frac_coords": [[0.6903, 0.1692, 0.0000], [0.3518, 0.3454, 0.0000], [0.6880, 0.6776, 0.0000], [0.5341, 0.3780, 0.5000], [0.8703, 0.7101, 0.5000], [0.5322, 0.8865, 0.5000], [0.0340, 0.0043, 0.0000], [0.0401, 0.4907, 0.0000], [0.3030, 0.8322, 0.0000], [0.1881, 0.0513, 0.5000], [0.9191, 0.2233, 0.5000], [0.1820, 0.5648, 0.5000]], "polymorph_energy_kcal_per_mol_atoms": 3.380}



Record 5
{"formula": "YCdCuB", "functional": "GGA-PBE", "state": "optimized geometry", "cell": [[-1.6849, 1.5710, 3.9671], [-4.4114, 1.2239, 0.2942], [-2.9350, -2.5632, 2.4209]], "species": ["B", "Cd", "Cu", "Y"], "frac_coords": [[0.0000, 0.0000, 0.0000], [0.5000, 0.5000, 0.5000], [0.7500, 0.7500, 0.7500], [0.2500, 0.2500, 0.2500]], "polymorph_energy_kcal_per_mol_atoms": 0.000}



Record 6
{"formula": "Ac3Sn2Au4", "functional": "GGA-PBE", "state": "optimized geometry", "cell": [[-3.6302, -0.3546, -5.2364], [0.9368, -1.6481, -6.0934], [-1.1894, -7.7136, 5.3040]], "species": ["Ac", "Ac", "Ac", "Au", "Au", "Au", "Au", "Sn", "Sn"], "frac_coords": [[0.0000, 0.0000, 0.0000], [0.3518, 0.3518, 0.3174], [0.6482, 0.6482, 0.6826], [0.7179, 0.7179, 0.0548], [0.0790, 0.0790, 0.4130], [0.9210, 0.9210, 0.5870], [0.2821, 0.2821, 0.9452], [0.6367, 0.6367, 0.2997], [0.3633, 0.3633, 0.7003]], "e_tot_ev_per_atom": -4.528}



Record 7
{"formula": "DyErFe2Sn2C", "functional": "GGA-PBE", "state": "optimized geometry", "cell": [[-1.5402, -0.0325, 5.7472], [-4.0593, -2.4149, 3.6186], [5.6103, -3.5134, -2.7073]], "species": ["C", "Dy", "Er", "Fe", "Fe", "Sn", "Sn"], "frac_coords": [[0.9993, 0.9993, 0.9981], [0.5436, 0.5436, 0.2641], [0.4573, 0.4573, 0.7383], [0.1812, 0.1812, 0.0717], [0.8183, 0.8183, 0.9271], [0.8346, 0.8346, 0.3017], [0.1656, 0.1656, 0.6990]], "e_tot_ev_per_atom": -6.530}



Record 8

_Here it is_
Record 1
{"formula": "RbZn", "functional": "GGA-PBE", "state": "optimized geometry", "cell": [[-3.4578, 5.3656, 4.3579], [-4.7268, -6.2505, 3.9453], [3.4149, -0.4908, 3.3138]], "species": ["Rb", "Rb", "Rb", "Rb", "Zn", "Zn", "Zn", "Zn"], "frac_coords": [[0.0461, 0.5313, 0.0000], [0.5461, 0.7187, 0.0000], [0.2872, 0.0313, 0.5000], [0.7872, 0.2187, 0.5000], [0.4448, 0.3251, 0.0000], [0.9448, 0.9249, 0.0000], [0.3885, 0.4249, 0.5000], [0.8885, 0.8251, 0.5000]], "e_tot_ev_per_atom": -0.973}



Record 2
{"formula": "Y2Tm4LuNi2Te2", "functional": "GGA-PBE", "state": "optimized geometry", "cell": [[4.6301, -3.0997, 7.4228], [-4.5986, 8.0279, 0.7416], [1.0506, -9.2217, -0.0073]], "species": ["Lu", "Ni", "Ni", "Te", "Te", "Tm", "Tm", "Tm", "Tm", "Y", "Y"], "frac_coords": [[0.4751, 0.4751, 0.0000], [0.6396, 0.4011, 0.2385], [0.1626, 0.4011, 0.7615], [0.1394, 0.1394, 0.0000], [0.7427, 0.2427, 0.5000], [0.0287, 0.8956, 0.1331], [0.1030, 0.7490, 0.3540], [0.3950, 0.7490, 0.6460], [0.7624, 0.8956, 0.8669], [0.4143, 0.0988, 0.3155], [0.7833, 0.0988, 0.6845]], "polymorph_energy_kcal_per_mol_atoms": 0.314}



Record 3
{"formula": "TlCu3SnSe4", "functional": "GGA-PBE", "state": "optimized geometry", "cell": [[6.2120, 0.0000, 0.0000], [0.0000, 6.2120, 0.0000], [0.0000, 0.0000, 6.2120]], "species": ["Cu", "Cu", "Cu", "Se", "Se", "Se", "Se", "Sn", "Tl"], "frac_coords": [[0.5000, 0.0000, 0.0000], [0.0000, 0.5000, 0.0000], [0.0000, 0.0000, 0.5000], [0.7632, 0.2368, 0.2368], [0.2368, 0.7632, 0.2368], [0.2368, 0.2368, 0.7632], [0.7632, 0.7632, 0.7632], [0.0000, 0.0000, 0.0000], [0.5000, 0.5000, 0.5000]], "e_tot_ev_per_atom": -3.570}



Record 4
{"formula": "NaZr", "functional": "GGA-PBE", "state": "optimized geometry", "cell": [[-1.7771, 7.3118, 5.6525], [3.4555, -3.7477, 3.9431], [4.3769, 2.3225, -1.6282]], "species": ["Na", "Na", "Na", "Na", "Na", "Na", "Zr", "Zr", "Zr", "Zr", "Zr", "Zr"], "frac_coords": [[0.6903, 0.1692, 0.0000], [0.3518, 0.3454, 0.0000], [0.6880, 0.6776, 0.0000], [0.5341, 0.3780, 0.5000], [0.8703, 0.7101, 0.5000], [0.5322, 0.8865, 0.5000], [0.0340, 0.0043, 0.0000], [0.0401, 0.4907, 0.0000], [0.3030, 0.8322, 0.0000], [0.1881, 0.0513, 0.5000], [0.9191, 0.2233, 0.5000], [0.1820, 0.5648, 0.5000]], "polymorph_energy_kcal_per_mol_atoms": 3.380}



Record 5
{"formula": "YCdCuB", "functional": "GGA-PBE", "state": "optimized geometry", "cell": [[-1.6849, 1.5710, 3.9671], [-4.4114, 1.2239, 0.2942], [-2.9350, -2.5632, 2.4209]], "species": ["B", "Cd", "Cu", "Y"], "frac_coords": [[0.0000, 0.0000, 0.0000], [0.5000, 0.5000, 0.5000], [0.7500, 0.7500, 0.7500], [0.2500, 0.2500, 0.2500]], "polymorph_energy_kcal_per_mol_atoms": 0.000}



Record 6
{"formula": "Ac3Sn2Au4", "functional": "GGA-PBE", "state": "optimized geometry", "cell": [[-3.6302, -0.3546, -5.2364], [0.9368, -1.6481, -6.0934], [-1.1894, -7.7136, 5.3040]], "species": ["Ac", "Ac", "Ac", "Au", "Au", "Au", "Au", "Sn", "Sn"], "frac_coords": [[0.0000, 0.0000, 0.0000], [0.3518, 0.3518, 0.3174], [0.6482, 0.6482, 0.6826], [0.7179, 0.7179, 0.0548], [0.0790, 0.0790, 0.4130], [0.9210, 0.9210, 0.5870], [0.2821, 0.2821, 0.9452], [0.6367, 0.6367, 0.2997], [0.3633, 0.3633, 0.7003]], "e_tot_ev_per_atom": -4.528}



Record 7
{"formula": "DyErFe2Sn2C", "functional": "GGA-PBE", "state": "optimized geometry", "cell": [[-1.5402, -0.0325, 5.7472], [-4.0593, -2.4149, 3.6186], [5.6103, -3.5134, -2.7073]], "species": ["C", "Dy", "Er", "Fe", "Fe", "Sn", "Sn"], "frac_coords": [[0.9993, 0.9993, 0.9981], [0.5436, 0.5436, 0.2641], [0.4573, 0.4573, 0.7383], [0.1812, 0.1812, 0.0717], [0.8183, 0.8183, 0.9271], [0.8346, 0.8346, 0.3017], [0.1656, 0.1656, 0.6990]], "e_tot_ev_per_atom": -6.530}



Record 8